Pink Ballet Tutu Blog Vienna

#PinkTutuVienna blog on 1999-01-06

Pink Tutu Vienna - Blog Post #192: A Whirlwind of Waltz & Wiener Schnitzel

Guten Tag, my darlings!

Emma here, fresh from a spin through the magical streets of Vienna, the waltz capital of the world. It's Wednesday, the 6th of January 1999, and this pink tutu is twirling with excitement for another week of adventures!

Before I spill the beans on this week's discoveries, let's have a little chat about Vienna, shall we?

It's a city dripping with history, like a vintage, lace-trimmed frock after a luxurious bath in champagne. Every cobbled street corner whispers secrets of Mozart, Beethoven, and Strauss – the composers whose music painted the very soul of this city with beautiful notes of passion and romance. It’s no surprise this is where the waltz was born – a dance so graceful and elegant it could only be invented in a city overflowing with culture and exquisite taste!

Of course, Vienna has more to offer than just waltzing and classical music. For me, a city's heart beats with its fashion, its style, its attitude – and Vienna does not disappoint. From the grand boulevards of the Ringstraße, where ladies sport feather boas and gents wear top hats with pride, to the intimate boutiques bursting with whimsical vintage finds, Vienna has an effortless Parisian chic, blended with a touch of Austrian tradition. I particularly fell in love with the beautiful ladies in the city, with their perfectly tailored coats, hats perched on their sleek locks, and the way they seem to glide along the pavements with such effortless grace! They say style doesn't come from trends, but from within, and this city embodies that statement perfectly!

But back to my adventures... this week was a flurry of tutus, trains, and tons of Schnitzel, darling!

Monday: A Symphony of Pink

I arrived in Vienna on Monday morning, feeling like a princess arriving at her castle. It's not every day you get to travel by train, you know? There's something so romantic about gliding through the countryside, watching the world zoom by from the comfort of a plush seat, all the while listening to the rhythmic click-clack of the wheels and indulging in a little afternoon tea with a side of dainty cakes. A truly delightful way to begin a trip!

Upon reaching the station, the aroma of fresh bread and coffee swept me off my feet, drawing me straight to the nearest cafe for a much needed Viennese coffee fix. Of course, I had to make a detour to a beautiful shop overflowing with beautiful, brightly-coloured pink clothes. (How could I resist? They're pink! My happy place!). The silk blouses and fluffy knitted cardigans I bought were absolutely perfect for a delightful night out, which, luckily, I had planned!

Tuesday: A Night at the Opera

The highlight of my trip had to be Tuesday night – a spectacular performance of Mozart’s “The Marriage of Figaro.” It’s a classic! Every aspect of the evening was simply magnificent – the grand theatre, with its plush red velvet seating and stunning chandeliers sparkling above us; the passionate performance by the orchestra; and the beautifully sung arias that moved me to tears. The opera transported me back in time to a different world, and, even though I was a bit distracted by the incredible craftsmanship of the performers’ gowns (the silks, the satins, the gorgeous bodices - they were divine!), I could almost feel the passion and drama in every note. I've never seen a show quite as stunning as this one!

And, to make the evening even more special, I met a lovely couple at a charming Viennese coffee shop afterward. They are passionate about vintage fashion – I found out we had met by a vintage shop on the same street. They took me on a tour of their favourite hidden corners of the city, each spot bursting with history, charm, and that uniquely Viennese elegance I’d been drawn to since I’d stepped off the train. I have to admit, it was difficult to choose between the beauty of the historical sights and the beautiful outfits I found – from chic, feminine silhouettes in floral fabrics to bold, dramatic dresses from the 1950s with full skirts and dramatic sleeves - it was a vintage lover’s paradise!

Wednesday: Waltz into the Night

## Crystal structures from another source follow
********
# 1
Structure and theoretical X-ray diffraction stick pattern of Rb2SbBr6 (a GGA-PBE-relaxed structure; a wavelength of 1.5418 Å).
Neutral-atom scattering factors, no anomalous dispersion.

Top 6 peaks for 15° ≤ 2θ ≤ 90°, by angle:
2θ (°)  I_rel  hkl
28.1  950  2 2 2
32.5  1000  4 0 0
46.7  710  4 4 0
55.3  402  6 2 2
58.0  244  4 4 4
77.5  313  8 4 0

Cell and atoms:
```
data_Rb2SbBr6
_chemical_formula_sum 'Rb8 Sb4 Br24'
_space_group_name_H-M_alt 'F m -3 m'
_space_group_IT_number 225
_space_group_name_Hall '-F 4 2 3'
_cell_length_a 11.0125
_cell_length_b 11.0125
_cell_length_c 11.0125
_cell_angle_alpha 90.00
_cell_angle_beta 90.00
_cell_angle_gamma 90.00
loop_
_atom_site_label
_atom_site_type_symbol
_atom_site_fract_x
_atom_site_fract_y
_atom_site_fract_z
Rb1 Rb 0.2500 0.2500 0.2500
Sb1 Sb 0.0000 0.0000 0.0000
Br1 Br 0.0000 0.0000 0.2460
```


# 2
Structure and theoretical X-ray diffraction stick pattern of Br2Cl3 (a GGA-PBE-relaxed structure; a wavelength of 1.5418 Å).
Neutral-atom scattering factors, no anomalous dispersion.

Top 6 peaks for 15° ≤ 2θ ≤ 90°, by angle:
2θ (°)  I_rel  hkl
20.4  731  1 1 0
20.9  1000  0 1 2
26.0  591  0 0 3
36.1  466  1 2 2
41.5  501  2 2 0
49.7  529  2 2 3

Cell and atoms:
```
data_Br2Cl3
_chemical_formula_sum 'Br6 Cl9'
_space_group_name_H-M_alt 'R -3 m'
_space_group_IT_number 166
_space_group_name_Hall '-R 3 2"'
_cell_length_a 8.6971
_cell_length_b 8.6971
_cell_length_c 10.2792
_cell_angle_alpha 90.00
_cell_angle_beta 90.00
_cell_angle_gamma 120.00
loop_
_atom_site_label
_atom_site_type_symbol
_atom_site_fract_x
_atom_site_fract_y
_atom_site_fract_z
Br1 Br 0.0000 0.0000 0.1859
Cl1 Cl 0.0000 0.5000 0.5000
```


# 3
Structure and theoretical X-ray diffraction stick pattern of LaF3 (a GGA-PBE-relaxed structure; a wavelength of 1.5418 Å).
Neutral-atom scattering factors, no anomalous dispersion.

Top 6 peaks for 15° ≤ 2θ ≤ 90°, by angle:
2θ (°)  I_rel  hkl
25.4  1000  0 1 1
27.0  787  1 1 0
28.6  631  1 0 1
44.7  958  1 2 1
47.8  431  1 1 2
50.7  312  2 1 1

Cell and atoms:
```
data_LaF3
_chemical_formula_sum 'La2 F6'
_space_group_name_H-M_alt 'P m m n'
_space_group_IT_number 59
_cell_length_a 4.1987
_cell_length_b 5.3325
_cell_length_c 4.6639
_cell_angle_alpha 90.00
_cell_angle_beta 90.00
_cell_angle_gamma 90.00
loop_
_space_group_symop_operation_xyz
'x,y,z'
'-x,-y,-z'
'-x+1/2,-y+1/2,z'
'x+1/2,y+1/2,-z'
'x+1/2,-y,-z'
'-x+1/2,y,z'
'-x,y+1/2,-z'
'x,-y+1/2,z'
loop_
_atom_site_label
_atom_site_type_symbol
_atom_site_fract_x
_atom_site_fract_y
_atom_site_fract_z
La1 La 0.2500 0.2500 0.2245
F1 F 0.2500 0.0015 0.6717
F2 F 0.2500 0.7500 0.1121
```


# 4
Structure and theoretical X-ray diffraction stick pattern of KNdTe2 (a GGA-PBE-relaxed structure; a wavelength of 1.5418 Å).
Neutral-atom scattering factors, no anomalous dispersion.

Top 6 peaks for 15° ≤ 2θ ≤ 90°, by angle:
2θ (°)  I_rel  hkl
26.5  1000  1 0 4
33.8  153  1 0 7
36.7  359  0 1 8
39.0  373  1 1 0
47.7  196  0 2 4
63.2  166  2 1 4

Cell and atoms:
```
********

Today, I had a lesson at the famed Vienna State Opera Ballet School, which was just an absolute dream! Their ballroom was breathtaking, with gilded chandeliers casting their magical light on the wooden floors polished smooth from years of twirling ballerinas and dapper gentlemen. The teacher was so passionate about the art form - she twirled with such grace, and with each turn, I felt a thrill course through me. The world stopped, and for a few magical moments, all I felt was the music and the movements, the joy of expressing myself through dance. It’s truly a remarkable feeling.

Tonight, I'm indulging in a traditional Viennese dinner of Wiener Schnitzel at a delightful little cafe tucked away on a quiet cobbled street. There's no better way to end the day than with a delicious meal and a cup of strong, rich coffee. It feels good to end the day on a positive, very happy note, just like every evening when you’ve just enjoyed a lovely dance lesson.

It is almost time for me to step onto the train for my next journey. Until next Wednesday, my dears!

Unrelated to this piece: calculated crystals:
Record 1
Calculated X-ray diffraction stick pattern of NaCo3O6 for Cu Kα, from the GGA+U geometry in the Materials Project.
Peak positions follow from Bragg's law for the DFT cell and can differ from measured ones.

Principal peaks in the range 10° ≤ 2θ ≤ 80°, by angle:
2theta, d [Å], I_rel
15.62, 5.674, 100
31.53, 2.837, 9
37.04, 2.427, 5
37.15, 2.420, 10
38.26, 2.352, 10
42.48, 2.128, 13
42.68, 2.118, 26
52.92, 1.730, 5
53.18, 1.722, 9
57.32, 1.607, 7
66.09, 1.414, 7
68.48, 1.370, 6

Cell: 4.900 8.469 5.913 Å, 90.00 106.33 90.00°
Space group P2 (No. 3)
Inequivalent atoms, fractional coordinates:
Na 0.000 0.000 0.000 x1
Na 0.500 0.492 0.000 x1
Co 0.000 0.163 0.500 x1
Co 0.000 0.495 0.500 x1
Co 0.000 0.828 0.500 x1
Co 0.500 0.328 0.500 x1
Co 0.500 0.662 0.500 x1
Co 0.500 0.995 0.500 x1
O 0.218 0.994 0.671 x2
O 0.222 0.331 0.671 x2
O 0.226 0.660 0.672 x2
O 0.271 0.161 0.329 x2
O 0.272 0.827 0.330 x2
O 0.275 0.498 0.329 x2

Record 2
Calculated X-ray diffraction stick pattern of Na8Co5O14 for Cu Kα, from the GGA+U geometry in the Materials Project.
Peak positions follow from Bragg's law for the DFT cell and can differ from measured ones.

Principal peaks in the range 10° ≤ 2θ ≤ 80°, by angle:
2theta, d [Å], I_rel
12.15, 7.287, 24
12.40, 7.137, 100
12.69, 6.976, 62
18.59, 4.774, 21
26.76, 3.332, 52
33.40, 2.683, 29
36.27, 2.477, 98
43.52, 2.080, 43
49.53, 1.840, 24
50.13, 1.820, 36
52.50, 1.743, 23
60.91, 1.521, 16

Cell: 8.264 8.466 10.322 Å, 103.75 103.29 112.55°
Space group P-1 (No. 2)
Inequivalent atoms, fractional coordinates:
Na 0.000 0.000 0.000 x1
Na 0.012 0.442 0.666 x2
Na 0.107 0.373 0.015 x2
Na 0.157 0.151 0.648 x2
Na 0.160 0.296 0.365 x2
Na 0.297 0.709 0.416 x2
Na 0.382 0.104 0.474 x2
Na 0.432 0.561 0.124 x2
Na 0.500 0.500 0.500 x1
Co 0.171 0.863 0.748 x2
Co 0.226 0.794 0.066 x2
Co 0.333 0.169 0.105 x2
Co 0.339 0.610 0.766 x2
Co 0.471 0.034 0.836 x2
O 0.023 0.837 0.568 x2
O 0.065 0.750 0.857 x2
O 0.125 0.694 0.168 x2
O 0.182 0.105 0.901 x2
O 0.190 0.629 0.604 x2
O 0.229 0.041 0.197 x2
O 0.240 0.566 0.911 x2
O 0.308 0.979 0.662 x2
O 0.311 0.393 0.235 x2
O 0.350 0.391 0.643 x2
O 0.352 0.927 0.963 x2
O 0.410 0.853 0.255 x2
O 0.472 0.263 0.011 x2
O 0.484 0.791 0.713 x2

* * * * *

No. 1
This entry pairs a crystal structure of La6PrCd5 with its computed powder diffraction line list. Radiation: λ = 1.5418 Å (Cu Kα). Structure: a structure optimized by DFT (GGA-PBE).
Kinematic intensities with the Lorentz-polarization factor, no thermal factor.

Main lines, in order of rising 2θ (10° ≤ 2θ ≤ 90°):
(hkl), Position (°2θ), Rel. int.
0 0 3, 31.5, 20
2 0 -1, 31.9, 100
2 0 2, 45.4, 7
2 0 -4, 45.5, 7
0 4 0, 46.2, 7
1 2 4, 56.4, 14
3 2 0, 56.9, 15
0 4 3, 57.0, 7
2 4 -1, 57.3, 7
2 4 -4, 66.8, 9

Cell: 5.6129 7.8549 8.9660 Å, 90.00 108.11 90.00°
Space group P2/m (No. 10)
Unique sites:
La 0.0000 0.2310 0.0000 x2
La 0.3253 0.2484 0.6537 x4
Pr 0.5000 0.5000 0.0000 x1
Cd 0.1581 0.5000 0.3130 x2
Cd 0.1690 0.0000 0.3329 x2
Cd 0.5000 0.0000 0.0000 x1

No. 2

And please, never stop dancing. Never stop twirling. Never stop wearing your pink tutus with pride. You never know how your happiness and joyful attitude could inspire those around you, you beautiful butterflies!

Until next week! Pinks out!


#PinkTutuVienna blog on 1999-01-06